Finding the King

Ren stands in pride at his accomplishment. He holds his nose in the air with his hands at his waist. "I really am awesome!" Ren laughs. The echo of his laughter rings in the quiet street, the sound bouncing off the nearby buildings. His chest swells with the pride of victory, and he savors the feeling of triumph, letting it wash over him like a warm wave. The satisfaction of defeating the thugs lingers in his mind, making him feel invincible. He can't help but smile broadly, his eyes gleaming with excitement and a sense of achievement.

"Beating up a couple of weak thugs isn't something to brag about," said a particularly pessimistic feminine voice. The tone of the voice is sharp, cutting through the air like a knife and jolting Ren out of his reverie.

Ren looked up to a balcony to see a demi-human gray-skinned teenage girl with octopus tentacles for hair. She seemed to be some sort of engineer and wore overalls with one strap that hung off her shoulders. The sight of her is striking, her unique appearance making her stand out even in the dim light. Ren was slightly embarrassed, a light blush appearing on his cheeks. He fiddled with his thumbs and looked down in an awkward manner. He could feel his earlier bravado slipping away, replaced by a sense of self-consciousness. He then remembered his mission, the reason he was there in the first place, and tried to regain his composure.

"D-do you know where the king of the beggars might be," said Ren awkwardly, not expecting an answer. His voice wavered slightly, betraying his uncertainty.

The girl looked left, looked right, then beckoned him toward the balcony. Her movements are deliberate, and she seems to be assessing the situation carefully. When Ren reached her, she ordered him inside and motioned for him to sit on a mat for questioning. Her gaze is steady and unflinching, making Ren feel like he is under a microscope.

"What business do you have with him," she asked, her tone skeptical and probing. She folded her arms, waiting for his response with an air of impatience.

Ren, having at least enough sense to know he shouldn't give away the mission, lied. "I... uh owe him some money," he stammered, hoping his nervousness wouldn't betray him. He tried to sound convincing, but he could feel the girl's eyes boring into him, searching for the truth.

Attached: records of crystals =
-- begin --
1.
# Mg14AlCO16
Theoretical X-ray powder pattern, λ = 1.5418 Å (Cu Kα). Input: a structure optimized by DFT (GGA-PBE).
Lines closer than 0.1° are merged.

Structural model:
```
Mg14AlCO16
1.0
8.563 0.000 0.000
0.000 8.563 0.000
0.000 0.000 4.201
Mg Al C O
14 1 1 16
Direct
0.000 0.245 0.000
0.000 0.500 0.500
0.000 0.755 0.000
0.243 0.243 0.500
0.243 0.757 0.500
0.245 0.000 0.000
0.248 0.500 0.000
0.500 0.000 0.500
0.500 0.248 0.000
0.500 0.752 0.000
0.752 0.500 0.000
0.755 0.000 0.000
0.757 0.243 0.500
0.757 0.757 0.500
0.500 0.500 0.500
0.000 0.000 0.500
0.000 0.000 0.000
0.000 0.271 0.500
0.000 0.500 0.000
0.000 0.729 0.500
0.250 0.250 0.000
0.250 0.750 0.000
0.271 0.000 0.500
0.272 0.500 0.500
0.500 0.000 0.000
0.500 0.272 0.500
0.500 0.500 0.000
0.500 0.728 0.500
0.728 0.500 0.500
0.729 0.000 0.500
0.750 0.250 0.000
0.750 0.750 0.000
```

Largest 8 diffraction maxima, in order of falling intensity, 15° ≤ 2θ ≤ 90°:
2θ 42.2, I = 100; 2θ 61.9, I = 54; 2θ 43.1, I = 48; 2θ 61.2, I = 27; 2θ 77.8, I = 24; 2θ 36.6, I = 14; 2θ 73.5, I = 7; 2θ 74.7, I = 3

---

2.
# La2Ti2O7
Theoretical X-ray powder pattern, λ = 1.5418 Å (Cu Kα). Input: a structure optimized by DFT (GGA-PBE).
Lines closer than 0.1° are merged.

Structural model:
```
La2Ti2O7
1.0
7.817 0.000 0.000
0.000 5.598 0.000
-1.961 0.000 13.073
La Ti O
8 8 28
Direct
0.147 0.000 0.079
0.227 0.411 0.404
0.280 0.904 0.616
0.351 0.454 0.889
0.649 0.954 0.111
0.720 0.404 0.384
0.773 0.911 0.596
0.853 0.500 0.921
0.032 0.417 0.619
0.076 0.944 0.822
0.417 0.449 0.175
0.473 0.915 0.379
0.527 0.415 0.621
0.583 0.949 0.825
0.924 0.444 0.178
0.968 0.917 0.381
0.028 0.101 0.685
0.037 0.671 0.519
0.086 0.206 0.907
0.107 0.610 0.727
0.122 0.724 0.930
0.174 0.362 0.195
0.223 0.954 0.392
0.273 0.333 0.591
0.328 0.978 0.808
0.383 0.723 0.104
0.404 0.234 0.061
0.437 0.597 0.316
0.473 0.672 0.521
0.493 0.104 0.270
0.507 0.604 0.730
0.527 0.172 0.479
0.563 0.097 0.684
0.596 0.734 0.939
0.617 0.223 0.896
0.672 0.478 0.192
0.727 0.833 0.409
0.777 0.454 0.608
0.826 0.862 0.805
0.878 0.224 0.070
0.893 0.110 0.273
0.914 0.706 0.093
0.963 0.171 0.481
0.972 0.601 0.315
```

Largest 8 diffraction maxima, in order of falling intensity, 15° ≤ 2θ ≤ 90°:
2θ 29.7, I = 100; 2θ 32.8, I = 53; 2θ 20.9, I = 45; 2θ 27.3, I = 44; 2θ 32.0, I = 35; 2θ 46.5, I = 29; 2θ 57.5, I = 29; 2θ 31.7, I = 27

---

3.
# TiBr2
Theoretical X-ray powder pattern, λ = 1.5418 Å (Cu Kα). Input: a structure optimized by DFT (GGA-PBE).
Lines closer than 0.1° are merged.

Structural model:
```
TiBr2
1.0
3.499 0.000 0.000
-1.749 3.030 0.000
0.000 0.000 7.068
Ti Br
1 2
Direct
0.000 0.000 0.000
0.333 0.667 0.761
0.667 0.333 0.239
```

Largest 8 diffraction maxima, in order of falling intensity, 15° ≤ 2θ ≤ 90°:
2θ 32.1, I = 100; 2θ 39.2, I = 44; 2θ 49.0, I = 32; 2θ 52.3, I = 24; 2θ 25.2, I = 19; 2θ 76.6, I = 15; 2θ 62.7, I = 14; 2θ 86.0, I = 12

---

4.
# RbNaMg6
-- stop --
Here the article continues =

"Of course you do. The old fart doesn't play about his cash, but it's strange you don't know where he lives. He would at least tell you if you owe him. It seems like you're..." she trailed off, her eyes narrowing with suspicion. Her tentacles shifted slightly, reflecting her curiosity and wariness.

Ren tried to change the subject, feeling the pressure of her scrutiny. "Uh... do you know the king of the beggars personally, or-" he began, his voice a bit shaky.

The girl stopped him abruptly. "Just call him Yuko, and as for your question, I won't ask you about your secrets if you don't ask about mine," she said firmly, her eyes locking onto his. There was a moment of silence, the air thick with tension.

"Uh... sure, my name is Ren, by the way," he offered, hoping to shift the focus away from his clumsy attempt at deception. He extended a hand, trying to break the ice.

"Mia," she introduced herself. "And I guess I'll help you," she added, taking his hand in a brief, firm handshake. Her grip was strong, and Ren could feel the calluses on her palm, a testament to her hard work and determination.

Ren and Mia soon set off to find Yuko. The district seemed to be even busier during midnight than at dawn. Bustling patrons, bright street lights and neon signs, and casinos riddled the district. The noise and energy of the place were overwhelming, a constant buzz that filled the air. The cacophony of sounds and the kaleidoscope of lights created a surreal atmosphere, making it seem like a city that never slept. But the most eye-catching attraction was a massive skyscraper in the center. It was about 20 stories tall and surrounded by guards. It looked enchanting, a beacon of power and opulence amidst the squalor of the slums. The contrast was stark, highlighting the disparities within the city.

Mia then led Ren to a nearby bush, where they could observe the building without being seen. "Yuko lives in the skyscraper," she said, her voice barely above a whisper. She pointed towards the towering structure, her expression serious.

"The king of the beggars and slums? That's the last place I would expect him to be," Ren said, incredulous. His eyes widened as he took in the sight of the luxurious building.

"Exactly. That's why he lives there," Mia replied, a hint of amusement in her tone. She seemed to enjoy seeing his reaction, a small smile playing on her lips.

"How do you know so much about-" Ren started to ask, but Mia quickly chopped him on the head. The suddenness of the action left him stunned.

"Tsk, damn, what was that for?" Ren complained, rubbing the sore spot. He glared at her, but she remained unfazed.

"Again, if you don't ask about my secrets, I won't ask about yours. Anyway, we're gonna need a distra-" Mia began, her tone indicating that she had a plan.

Before Mia could finish, Ren, at speeds faster than the eye can see, neck chopped the guards. The precision and speed of his movements were impressive, and the guards crumpled to the ground, unconscious. Ren straightened up, feeling a rush of satisfaction.

"Or do that," Mia said, a bit impressed despite herself. She raised an eyebrow, clearly reevaluating her initial impression of him.

Ren and Mia snuck through the door, moving silently through the opulent corridors of the skyscraper. The interior was as luxurious as the exterior, a stark contrast to the surrounding slums. The lobby was grand, with marble floors and ornate decorations. Ren couldn't help but feel a bit out of place in such a setting, his earlier bravado diminishing in the face of such splendor. The chandeliers overhead cast a warm glow, and the rich tapestries on the walls added to the sense of grandeur.